Rereading the Theory of Amr Bayn al-Amrayn in Early Imāmī Thought, and Its Relation to the Viewpoint of Ahl al-Hadith and Muʿtazilah (Up To the End of the Fourth Century)
- Author:
- Seyyed Hasan Taleghani
- Level:
- Ph.D
- Subject(s):
- Islamic Denominations
- Language:
- Farsi
- Faculty:
- Faculty of Islamic Denominations
- Year:
- 2017
- Publisher:
- URD Press
- Supervisor(s):
== What comes next are materials data, not part of the article ==
~~~
Entry 1:
Computed, not measured: a geometry-optimized Li2Mn2P2O9 structure at the GGA+U level of DFT.

CIF file:
```
data_Li2Mn2P2O9
_cell_length_a 8.432
_cell_length_b 5.636
_cell_length_c 15.345
_cell_angle_alpha 90.00
_cell_angle_beta 90.00
_cell_angle_gamma 90.00
_symmetry_space_group_name_H-M 'P n m a'
_symmetry_Int_Tables_number 62
_symmetry_space_group_name_Hall '-P 2ac 2n'
loop_
_atom_site_label
_atom_site_type_symbol
_atom_site_fract_x
_atom_site_fract_y
_atom_site_fract_z
_atom_site_occupancy
Li1 Li 0.038 0.250 0.240 1
Li2 Li 0.189 0.250 0.865 1
Mn1 Mn 0.000 0.000 0.500 1
Mn2 Mn 0.205 0.250 0.068 1
P1 P 0.173 0.750 0.918 1
P2 P 0.202 0.250 0.664 1
O1 O 0.009 0.750 0.964 1
O2 O 0.067 0.250 0.589 1
O3 O 0.068 0.750 0.573 1
O4 O 0.117 0.250 0.750 1
O5 O 0.165 0.750 0.820 1
O6 O 0.194 0.524 0.151 1
O7 O 0.240 0.017 0.451 1
```

Properties
For the density, the calculation gives 3.0 g/cm³. The value obtained for the total magnetization is 0.53 μB per atom. The energy above the most stable polymorph in this dataset is 0.008 eV/atom. The calculation puts the formation energy at -2.4265 eV per atom.

---

Entry 2:
Computed, not measured: a geometry-optimized LiMnP2O8 structure at the GGA+U level of DFT.

CIF file:
```
data_LiMnP2O8
_cell_length_a 8.944
_cell_length_b 4.704
_cell_length_c 13.580
_cell_angle_alpha 90.00
_cell_angle_beta 98.27
_cell_angle_gamma 90.00
_symmetry_space_group_name_H-M 'C 1 2/c 1'
_symmetry_Int_Tables_number 15
_symmetry_space_group_name_Hall '-C 2yc'
loop_
_atom_site_label
_atom_site_type_symbol
_atom_site_fract_x
_atom_site_fract_y
_atom_site_fract_z
_atom_site_occupancy
Li1 Li 0.000 0.044 0.250 1
Mn1 Mn 0.000 0.000 0.000 1
P1 P 0.153 0.476 0.889 1
O1 O 0.060 0.192 0.883 1
O2 O 0.105 0.333 0.470 1
O3 O 0.135 0.389 0.285 1
O4 O 0.179 0.116 0.085 1
```

Properties
For the density, the calculation gives 3.0 g/cm³. The value obtained for the total magnetization is 0.33 μB per atom. The calculation puts the formation energy at -2.2694 eV per atom.

---

Entry 3:
Computed, not measured: a geometry-optimized LiMn4P3O12 structure at the GGA+U level of DFT.

CIF file:
```
data_LiMn4P3O12
_cell_length_a 10.166
_cell_length_b 6.590
_cell_length_c 15.969
_cell_angle_alpha 90.00
_cell_angle_beta 90.00
_cell_angle_gamma 90.00
_symmetry_space_group_name_H-M 'P n m a'
_symmetry_Int_Tables_number 62
_symmetry_space_group_name_Hall '-P 2ac 2n'
loop_
_atom_site_label
_atom_site_type_symbol
_atom_site_fract_x
_atom_site_fract_y
_atom_site_fract_z
_atom_site_occupancy
Li1 Li 0.242 0.250 0.212 1
Mn1 Mn 0.035 0.750 0.132 1
Mn2 Mn 0.072 0.250 0.626 1
Mn3 Mn 0.245 0.000 0.447 1
P1 P 0.027 0.250 0.063 1
P2 P 0.051 0.750 0.556 1
P3 P 0.204 0.750 0.274 1
O1 O 0.050 0.750 0.270 1
O2 O 0.056 0.061 0.115 1
O3 O 0.100 0.750 0.461 1
O4 O 0.102 0.250 0.447 1
O5 O 0.110 0.560 0.598 1
O6 O 0.115 0.250 0.980 1
O7 O 0.121 0.750 0.970 1
O8 O 0.242 0.750 0.180 1
O9 O 0.244 0.054 0.817 1
```

Properties
~~~
== So much for the materials data ==
- Mohammad taqi Sobhani
- Advisor(s):
- Hamid Malekmakan, Mostafa Soltani
Qurʾān and Islamic tradition provided evidence for free will and determinism, but since the pre-Islamic Arab culture was inclined to determinism, the first theories developed about the question of human freedom in the Islamic society was oriented towards determinism. In the second century and by beginning of the theological debates and emergence of theological theories, two conflicting theories were proposed in this issue, that both theories cited a body of evidence driven from the Qurʾān and tradition that tend to the determinism. Meanwhile a theory was proposed in the teachings of Aha al-Bayt which offered the best interpretation of the Qurʾānic teachings and embraced the arguments of both side. This third way, which is known as “amr bayn al-amrayn”, based on potency and free will, insists on the real agency of human, does not considers this agency out of agency of the God. The historical study of Imāmī thought by the end of the fourth century states that the Imāmī followers who invoked to the hadiths of Ahl al-Bayt and the theological principles and ideas provided by them explain the idea of “amr bayn al-amrayn”. Though there were slight disagreement on the interpretation of the premises or in the manner of explaining in different versions on this idea among imāmī theologians, but all versions of this theory in Shi’a literature diverged from both jabr and tafwīḍ. By accepting the role of human power and his real agency, they differed with the determinists from one side, and by believing that the external fulfillment of the actions is depended on the Divine will. The comparison between the theory of amr bayn al-amrayn with the viewpoint of Muʿtazilites and Ahl al-Hadīth shows that these three theories such as interpretation and potency or Divine will differ essentially with each other in some of premises. amr bayn al-amrayn not only is the best way to solve the problem of agency but also correctly interprets some of theological issues and teachings – such as, guidance and misguidance, tawfāq (divine assitance), khudhlān (abandoned by God), Istidrāj (fall from God by hidden divine deception) . These doctorines which are rooted in religious sources cannot been explained by neither the theory of jabr nor theory of tafwīḍ, and they only under the theory of amr bayn al-amrayn they can be properly interpreted and understood.